Monday, August 30, 2010

Card Class for September!

Check out the cards we'll be making at this month's class!  I just love the new Hooligans paper!  It makes the cutest cards - and they don't have to be just for Halloween!

Space is still available in the Sunday afternoon and Monday evening classes.  Pop me a message/email if you'd like to attend!

Friday, August 27, 2010

September Kit of the Month

I'm releasing my September Kit of the Month a little bit early!  It features the BRAND NEW Hooligans papers and embellishments from Close To My Heart!

With this kit you can create 6 different projects!  YES!  SIX!  Make a 12x12 layout, 4 cards and a brag book mini album.  You also receive a six-page color PDF instruction sheet.  And you won't believe the cost - just $25 and that INCLUDES shipping!

Email me at to order yours today!

Monday, August 23, 2010

10 Year Reunion

It was yet another busy weekend - but very fun.  I did the Edmonds Market Saturday morning, and then that evening was my 10 year high school reunion.  It seems SO strange to be 10 years removed from high school.  There are days when I feel much younger than that, and then of course days when I feel ever so much OLDER.

My graduating class was 109, and many of us had gone to the same school from Kindergarten (or at least elementary school) on, so it was almost like reuniting with long lost family.

The event Saturday night was held at the Tasting Room - near Pike Place Market.  Here are a few of the photos from that evening...

(ps... thank you Lie Shia for posting pics on facebook!  :)  I forgot to bring my camera)

Dave and I

Two of my best girl-friends from high school - Sara (middle) and Nicole (right) with Nicole's adorable hubby Shane

Another of my best gal pals - Heather (or as I liked to call her, Hodo) and her cutie-pie hubby Morgan:

This is Heidi (and her hubby Jesus) and her twin sister Heather (and hubby Aaron).  Not only were we close in school, but we have stayed close for the past 10 years!!!  Dave and I love spending time with them - and our kids get along great too!  :) 

On Sunday the reunion continued in the afternoon with a tour of the high school campus, and then a BBQ at the beach.  Once again I left my camera at home, so thanks again to Lie Shia for posting pics on facebook.

King's High School

The renovated senior lounge

Lie Shia in the old Quill Room (school newspaper).  This is the room where Dave and I met, and later flirted before class.  He was the editor of the Quill and I took a Bible class right next door.  Ahhh, memories!

Out at the beach....

Nick and his beautiful family.

Lisa and her darling daughter Elsa:

Gal pals: Erin, Katie, Kimi, and me

Thursday, August 19, 2010

My new patterns are up on Knit Picks!

I am really beginning to love Thursdays!  That is the day when the new IDP patterns are posted on Knit Picks!  Here are my three latest contributions!

First Birthday Cake Hat
First Year Birthday Cake Hat
see the pattern HERE

Rosy Fingerless Gloves
Rosy Fingerless Gloves
see the pattern HERE

and last but not least....

Rosy Kerchief
Rosy Kerchief
see the pattern HERE

Wednesday, August 18, 2010


In reading all the comments, no one got the answer 100% correct, but I think Sheila was closest... So Sheila watch your inbox for 2 of my newest patterns.  :)

Misplaced crystal structures =
<<<
# 1
An optimized crystal structure of Fe2CuTc, computed with GGA-PBE.

Results
Its energy is -7.6701 eV/atom. Its space-group type is Pm (6). As for the energy of formation: 177 meV per atom. The calculation puts the spin magnetization at 1.112 μB per atom.

Unit cell a=2.4991 b=4.0708 c=5.0488 alpha=90.00 beta=103.22 gamma=90.00
Closest atoms and distances in Å follow each position.
Atoms (fractional coordinates):
Fe 0.0000 0.0000 0.0000  4 Fe 2.48-2.50, 2 Tc 2.55, 2 Cu 2.55-2.57
Fe 0.1737 0.5000 0.7534  4 Fe 2.48-2.50, 2 Cu 2.50, 2 Tc 2.55
Cu 0.4088 0.0000 0.5157  2 Cu 2.50, 4 Fe 2.50-2.57, 4 Tc 2.68-2.79
Tc 0.7340 0.5000 0.2448  2 Tc 2.50, 4 Fe 2.55, 4 Cu 2.68-2.79

***

# 2
An optimized crystal structure of Fe2CuTc, computed with GGA-PBE.

Results
Its energy is -7.6133 eV/atom. Its space-group type is Imm2 (44). As for the energy of formation: 234 meV per atom. The calculation puts the spin magnetization at 1.038 μB per atom.

Unit cell a=2.8668 b=4.1861 c=8.3160 alpha=90.00 beta=90.00 gamma=90.00
Closest atoms and distances in Å follow each position.
Atoms (fractional coordinates):
Fe 0.0000 0.0000 0.0000  2 Fe 2.38, 2 Tc 2.51, 4 Cu 2.54
Fe 0.0000 0.5000 0.2712  2 Fe 2.38, 2 Cu 2.53, 4 Tc 2.54
Fe 0.5000 0.0000 0.7712  2 Fe 2.38, 2 Cu 2.53, 4 Tc 2.54
Fe 0.5000 0.5000 0.5000  2 Fe 2.38, 2 Tc 2.51, 4 Cu 2.54
Cu 0.0000 0.0000 0.5204  6 Fe 2.53-2.54, 4 Tc 2.69-2.82
Cu 0.5000 0.5000 0.0204  6 Fe 2.53-2.54, 4 Tc 2.69-2.82
Tc 0.0000 0.5000 0.7472  6 Fe 2.51-2.54, 2 Cu 2.69
Tc 0.5000 0.0000 0.2472  6 Fe 2.51-2.54, 2 Cu 2.69

***

# 3
An optimized crystal structure of Fe2CuTc, computed with GGA-PBE.

Results
Its energy is -7.6347 eV/atom. Its space-group type is P4/mmm (123). As for the energy of formation: 212 meV per atom. The calculation puts the spin magnetization at 1.224 μB per atom.

Unit cell a=3.0297 b=3.0297 c=5.4666 alpha=90.00 beta=90.00 gamma=90.00
Closest atoms and distances in Å follow each position.
Atoms (fractional coordinates):
Fe 0.0000 0.0000 0.2383  4 Cu 2.51, 4 Tc 2.58, 1 Fe 2.61
Fe 0.0000 0.0000 0.7617  4 Cu 2.51, 4 Tc 2.58, 1 Fe 2.61
Cu 0.5000 0.5000 0.0000  8 Fe 2.51, 2 Tc 2.73
Tc 0.5000 0.5000 0.5000  8 Fe 2.58, 2 Cu 2.73

***

# 4
An optimized crystal structure of Fe2CuTc, computed with GGA-PBE.

Results
Its energy is -7.6532 eV/atom. Its space-group type is Cm (8). As for the energy of formation: 194 meV per atom. The calculation puts the spin magnetization at 0.995 μB per atom.

Unit cell a=8.5612 b=2.5832 c=4.5509 alpha=90.00 beta=99.69 gamma=90.00
Closest atoms and distances in Å follow each position.
Atoms (fractional coordinates):
Fe 0.0000 0.0000 0.0000  3 Tc 2.54-2.58, 5 Fe 2.57-2.66, 4 Cu 2.58-2.65
Fe 0.2442 0.5000 0.2610  3 Cu 2.53-2.56, 5 Fe 2.57-2.66, 4 Tc 2.60-2.63
Fe 0.5000 0.5000 0.0000  3 Tc 2.54-2.58, 5 Fe 2.57-2.66, 4 Cu 2.58-2.65
Fe 0.7442 0.0000 0.2610  3 Cu 2.53-2.56, 5 Fe 2.57-2.66, 4 Tc 2.60-2.63
Cu 0.4941 0.0000 0.4894  7 Fe 2.53-2.65, 2 Cu 2.58, 3 Tc 2.62-2.66
>>>

I'll dissect my coffee table - aka Yarn Mountain - for you in a minute, but first want to share the exciting news that ALL THREE of my new patterns will be up on the Knit Picks website tomorrow!!!  Yahoo!  So tune back in to get the link, or head over to and click on patterns tomorrow morning.

Okay.. back to the mountain of projects...

Starting in the upper left is a Montmartre Fingerless Glove I'm knitting for the Edmonds Market this weekend.  You can find the pattern here or here if you are on Ravelry.  (and more great news - this pattern was just picked up by Knit Picks today, and I'll be test knitting it with the new Capra yarn.  So you might just see that same pattern up on the Knit Picks website soon too!!!)

Moving to the right we have two completed Moebius Neck Warmers (in red and blue) and two more in a honey/plum variegated yarn - these are also for the Market.  There is also some cut felt for "hanky holders" that I need to finish sewing up.

Moving slightly right is the remaining 1/2 of a skein of hot pink Berroco Vintage yarn for the second Montmartre glove, and some white which has  become 1/2 of a pair of baby socks (pattern for those here and here).

In my yarn bowl is the start of a tank top (for me!)in a luscious purple (many of you thought it was a hat), and left-over skeins of yarn from lots of previous projects.  :)

Finally, all the way to the right is a sneak peek at my new Rosy Gloves, under that is the new Rosy Kerchief, and under that is Ruby's sweater.

So there you have it!  The Rosy accessories are up on Knit Picks tomorrow along with my First Year Birthday Cake Hat.

(Between two parts of the text: calculated crystals)
____________
{"formula": "YThPdAu", "functional": "PBE", "state": "optimized geometry", "m_tot_mub_per_fu": 0.00, "relative_energy_ev_per_atom": 0.114, "e_tot_ev_per_cell": -25.2, "dos_ef_per_ev_cell": 3.804, "density_g_cm3": 10.82, "lattice_angstrom": [[5.136, 0.000, 0.000], [2.568, 4.448, 0.000], [2.568, 1.483, 4.194]], "species": ["Au", "Pd", "Y", "Th"], "frac_coords": [[0.750, 0.750, 0.750], [0.250, 0.250, 0.250], [0.000, 0.000, 0.000], [0.500, 0.500, 0.500]]}


{"formula": "Tl2InSnF", "functional": "PBE", "state": "optimized geometry", "e_form_raw_kj_per_mol_atoms": -33, "m_tot_mub_per_fu": 0.00, "relative_energy_ev_per_atom": 0.000, "e_tot_ev_per_cell": -15.1, "dos_ef_per_ev_cell": 2.707, "density_g_cm3": 7.29, "lattice_angstrom": [[-1.492, 1.556, 5.487], [0.611, -4.082, 1.323], [5.643, 1.229, 1.186]], "species": ["Sn", "Tl", "Tl", "In", "F"], "frac_coords": [[0.500, 0.500, 0.500], [0.500, 0.000, 0.000], [0.000, 0.000, 0.500], [0.000, 0.000, 0.000], [0.000, 0.500, 0.000]]}

----------

[1]
The following is a DFT calculation (PBE) of a geometry-optimized Ce6SbP2Se3 structure.

```
Ce6SbP2Se3
1.0
9.193 -2.105 0.000
9.193 2.105 0.000
-1.917 0.000 8.263
Ce Sb P Se
6 1 2 3
Cartesian
-0.389 0.000 2.192
4.297 0.000 7.440
5.247 0.000 3.516
11.221 0.000 4.747
12.171 0.000 0.823
16.857 0.000 6.070
9.193 0.000 0.000
2.454 0.000 2.772
14.014 0.000 5.491
1.399 0.000 6.876
8.234 0.000 4.131
15.069 0.000 1.387
```

Summary:
Raw formation energy: -1.582 eV/atom
Magnetization: 0.44 μB per atom
Total energy: -6.665 eV per atom

---

[2]
The following is a DFT calculation (PBE) of a geometry-optimized Ce4SbPSe2 structure.

```
Ce4SbPSe2
1.0
7.336 0.000 0.000
0.000 4.248 0.000
-2.466 0.000 7.016
Ce Sb P Se
4 1 1 2
Cartesian
1.212 0.000 1.632
-0.021 2.124 5.386
4.891 2.124 1.630
3.658 0.000 5.383
-1.233 0.000 3.508
0.000 2.124 0.000
3.668 0.000 0.000
2.435 2.124 3.508
```

Summary:
Raw formation energy: -1.528 eV/atom
Magnetization: 0.45 μB per atom
Total energy: -6.557 eV per atom

---

[3]
The following is a DFT calculation (PBE) of a geometry-optimized TbCeSbP structure.

```
TbCeSbP
1.0
2.109 1.218 7.035
-2.109 1.218 7.035
0.000 -2.436 7.035
Tb Ce Sb P
1 1 1 1
Cartesian
0.000 0.000 0.000
0.000 0.000 10.911
0.000 0.000 15.987
0.000 0.000 5.478
```

Summary:
Raw formation energy: -1.298 eV/atom
Magnetization: 0.16 μB per atom
Total energy: -6.322 eV per atom

---

[4]
The following is a DFT calculation (PBE) of a geometry-optimized Ce6SbTe3P2 structure.

```
Ce6SbTe3P2
1.0
9.559 -2.157 0.000
9.559 2.157 0.000
-2.192 0.000 8.558
Ce Sb Te P
6 1 3 2
Cartesian
-0.303 0.000 2.188
5.269 0.000 3.722
4.378 0.000 7.591
12.547 0.000 0.967
11.656 0.000 4.836
17.228 0.000 6.369
9.559 0.000 0.000
1.259 0.000 7.128
8.463 0.000 4.279
15.666 0.000 1.430
2.498 0.000 2.884
14.427 0.000 5.674
```

Summary:
Raw formation energy: -1.368 eV/atom
Magnetization: 0.48 μB per atom
Total energy: -6.365 eV per atom

----------

No. 1
____________

Thanks for reading and playing along!  I have to go knit now... lots to get done before Market Day on Saturday.  :)

Monday, August 16, 2010

Yarn Mountain and Pattern Give-Away

Sadly, not much blogging has been happening around here lately.  It was a busy week last week, and an even busier one this week.

I cleaned off my creative knitting workspace, fondly nicknamed "yarn mountain" (aka - our coffee table) for Ruby's birthday party 2 weeks ago.  Slowly it has started to regain its former shape and size.

Now, it's not too terrible yet.  You can still see wood, the yarn bowl is distinctly visible, and I can still find specific projects fairly well.  Dave was hoping it would never reappear.  LOL, right.

Oh!  And something noteworthy...  In the hubbub of last week I got an super awesome email from Knit Picks.  They've accepted three more of my patterns for the Independent Designers Partnership (IDP) programp.  Whoohoo!  Two of those three projects are in the photo - and they are ones that I haven't released anywhere else yet.  Can you guess what they are?

I'll send both patterns to the first person who guesses correctly!  :)

Gotta run!  Sammie has camp today, then a playdate, and I'm teaching baby socks at knitting class tonight.  :)

Wednesday, August 11, 2010

Orange Box Jewelry

In working the Edmonds Summer Market, I've made some great friends!  Today I'd love to introduce you to Krissy Maier - designer of Orange Box Jewelry.  You can check out her website HERE and her Etsy store HERE.  You can also be a fan of her work on Facebook!

Amazonite Necklace

Her jewelry is beautiful, eclectic, fun, and unique, and best of all - affordable!

Pearl and Rhinestone Rosy Gold Necklace

Krissy says of her business, "Orange Box has become my full time enterprise, love affair, source of constant entertainment, and cause for panic. I am thrilled to create fun jewelry and statement pieces that help women feel sassy and special. I get a tiny rush each time I resurrect a portion of a vintage jewelry piece that was previously discarded. I am thankful every day to play jewelry. "

Gold and Rhinestone Hair Pin

Some of my favorite pieces that Krissy makes are her hair clips.  I have short hair, so I wear bobby pins every day, and hers are just SCRUMPTIOUS!  They are fun, colorful, and the best ones are totally zany. 


Here are a few more pictures of her unique and lovely pieces

I hope that you will take a minute to pop over to Krissy's website, etsy shop, or facebook page!  Or come and meet her in person at the Edmonds Summer Market!  The Market goes every Saturday from 9 am - 3 pm, through the first weekend in October (except this coming weekend because of the Taste of Edmonds).

Tuesday, August 10, 2010

Completed Belle

It's been a busy few days.  Sammie had Space Camp every day at her old pre-school last week, Ruby turned one on Wednesday, I had a booth at the Edmonds market all day Saturday, taught Sunday school and card class on Sunday, and then had another card class last night, and will have one more class tonight.  Whew!

In the midst of all that, I managed to get a little knitting in.  I finished the Belle sweater - designed by Cosette Cornelius-Bates (Cosy).  You can check out her AWESOME blog here: and her fabulous Etsy store here:

I'm so pleased with how the sweater turned out.  It's a fast and simple knit - and best of all NO SEAMING!  I knit Belle in the 24 month size and it fits Ruby perfectly.  Keep in mind that Ru is only 12 months old, but she's in the 85-90th percentile for both height and weight so she fits in 18-24 month clothes now.

Here are a few shots... sorry about the runny nose.  Ru caught her first cold.  Poor baby!  I'm amazed I even got one of her smiling, because she's been SOOOO crabby the past two days.  Praying the rest of us don't get it!

I still need to block the sweater so that the ruffles and button band lay correctly.  For the non-knitters, blocking is where you wash your garment, then lay it out as you want it to look and pin it, so that when it dries the wool will take on that desired shape.  

The sweater is knit in Merisoft Merino in HP66 and SPD332.  I used Malabrigo worsted in 204 velvet grapes for the button band.  The buttons are from Close To My Heart.  Gotta love it when your scrapbooking supplies can double as knitting supplies.

Ruby took her first steps a few days ago.  She's really starting to get the hang of it!

The back:

Friday, August 6, 2010

August Card Club Cards

This month we are using the Passages papers, and using some awesome paper flower techniques that I learned from my friend Donna Smith!  Thank you Donna for letting me teach your ideas to my customers.  :)

If you are in the greater Seattle area, and would like to attend one of these classes, please let me know.  I'm almost sold out, but there is one seat left for Sunday, and 2 seats left for Monday.

Thursday, August 5, 2010

Independent Designer!

Well, it's official!  I'm an Independent Designer for Knit Picks!  Check out my first pattern for sale up on their website!

The first link is to all the new patterns up on their site this week:

This link is to my pattern:

I'm so excited about this, as being published has been a dream of mine for a LONG time.  And look at the cute model.  Hehe... I was even more thrilled that they chose to use my photos that I included with the pattern.

Sushi Roll Hat

I've submitted a few more patterns to Knit Picks so you may see more of my designs on their website in the future!  I promise to keep you all posted. 

Now I'm off to do my happy dance!

EFT: Here is a screen shot of the Knit Picks Online Pattern store!  :D

Wednesday, August 4, 2010

Happy Birthday Ruby!

Happy Birthday Ruby!  Today she is one year old.  I remember the joy and anxiety of her actual birth day.  She was about an hour old when we got to the hospital, and we were in time to see her get her first bath (which she did not like), and placed under the heating lamp (which she loved).

We spent two full days getting to know her birth mom, and getting to know Ruby.  The hospital was gracious to give us our own room during that time, and we spent the hours passing Ruby back and forth between our rooms, and visiting each other.  Anyone who has experienced an infant adoption knows the uncertainty, fear, anxiety, hopefulness and utter lack of control that surrounds the situation.  We relied on the Lord for every second of those days.

I continually had to remind myself that while Ruby's adoption day was one of the best days of my life, it had the potential of being one of the worst days of her birth mom's life, and we wanted no part in making it any harder on her.  So we prayed over her, and we prayed over Ruby.  We had family and friends praying.  Our whole church prayed.  Not only did we pray, but we reached out to Ruby's birth mom.  We met with her and talked for hours.  We encouraged her, answered her questions, and hopefully eased some of her fears.  We may not have made that day better for her, but I believe with all my heart that God met her in that difficult place, and gave her peace, and assurance, and hope.

And in this past year, not a single day has gone by that I haven't thought of her, and prayed for her.  I can't look at our little Ruby without thinking of her, and her amazing choice.  She blessed my life beyond all imagination when she entrusted her baby to me, and placed Ruby in my arms.  It is with all the love I possess in my heart, that I say thank you to Nicole today and we celebrate Ruby.

On a lighter note, we had Ruby dedicated on Sunday by our wonderful Pastor Wayne Taylor.  He has been my pastor since I was a little girl about Sammie's age.  After the dedication, we had a BBQ Birthday Party for Ru (and of course Dave made an incredible spread!).  Here are some of the highlights of the day:

the dedication:

Ru and Great Grandma Joyce

Ru and Grandma Leslie

Sissy loves cake!

obligatory baby cake pictures:

"this whole piece is for me???"

Daddy's girl

Digging in

"Num num num" (as Ru likes to say)

The final outcome of Ru vs. Cake.  Ru won!  (and no, we didn't let her eat the whole thing!)

Tuesday, August 3, 2010

Belle Progress

I made more progress on Belle over the weekend!  Sorry again about the blurry pictures.  :)  I have been taking photos with my nice camera, but I haven't had time to do the photo editing/posting.  These are just much easier.  SIGH....

Here is the back view just before I started the ruffle.

Of course I needed my model to try it on!

I let her hold the ball of yarn as bribery so she would hold still for the picture.  :)

And here it is with the ruffle complete.  Now on to sleeves!

Sunday, August 1, 2010

August Kit of the Month

My Kit of the Month is back and for August we are turning to cards!

Note that not all supplies are included in the kit.  I tried to leave some things off the list to keep the price low.

Here is a supply list for the $40 "Mega Kit" option:
X7126B - Passages Level 2 papers (or substitute with papers of your choice)
Y1003 - 2x2, Y1006- 3x3 Acrylic Blocks
Z2114 - Cocoa Stamp Pad
Adhesive (like tombo)

For the $12 "Mini Kit" you will need all the supplies listed for the "Mega" as well as:
X7126C - Passages Level 2 Stickease
C1408 - Live Inspired Stamps

Order these supplies on my website -
or email me with your order!